When your body is hooked on a feeling.
Hannah Longley, LCSW, NAMI Maine staff
**Someone pasted materials data at this point**
........
Computed, not measured: a relaxed structure of Ga2Co at the PBE level of DFT.

Structure (CIF):
```
data_Ga2Co
_chemical_formula_sum 'Ga4 Co2'
_cell_length_a 3.153
_cell_length_b 3.153
_cell_length_c 8.088
_cell_angle_alpha 90.00
_cell_angle_beta 90.00
_cell_angle_gamma 90.00
_symmetry_space_group_name_H-M 'I 4/m m m'
_symmetry_Int_Tables_number 139
_symmetry_space_group_name_Hall '-I 4 2'
loop_
_atom_site_label
_atom_site_fract_x
_atom_site_fract_y
_atom_site_fract_z
_atom_site_occupancy
Ga1 0.000 0.000 0.159 1
Co1 0.000 0.000 0.500 1
```

=====

Computed, not measured: a relaxed structure of Th2Ni3Ge4Pd at the PBE level of DFT.

Structure (CIF):
```
data_Th2Ni3Ge4Pd
_chemical_formula_sum 'Th2 Ni3 Ge4 Pd1'
_cell_length_a 4.240
_cell_length_b 4.240
_cell_length_c 9.721
_cell_angle_alpha 90.00
_cell_angle_beta 90.00
_cell_angle_gamma 90.00
_symmetry_space_group_name_H-M 'P -4 m 2'
_symmetry_Int_Tables_number 115
loop_
_symmetry_equiv_pos_as_xyz
'x,y,z'
'y,-x,-z'
'-x,-y,z'
'-y,x,-z'
'-x,y,z'
'-y,-x,-z'
'x,-y,z'
'y,x,-z'
loop_
_atom_site_label
_atom_site_fract_x
_atom_site_fract_y
_atom_site_fract_z
_atom_site_occupancy
Th1 0.000 0.500 0.249 1
Ni1 0.000 0.500 0.882 1
Ni2 0.500 0.500 0.500 1
Ge1 0.000 0.000 0.000 1
Ge2 0.000 0.500 0.638 1
Ge3 0.500 0.500 0.000 1
Pd1 0.000 0.000 0.500 1
```

=====

Computed, not measured: a relaxed structure of DyEr4Hg4 at the PBE level of DFT.

Structure (CIF):
```
data_DyEr4Hg4
_chemical_formula_sum 'Dy2 Er8 Hg8'
_cell_length_a 9.475
_cell_length_b 9.475
_cell_length_c 5.468
_cell_angle_alpha 90.00
_cell_angle_beta 90.00
_cell_angle_gamma 90.00
_symmetry_space_group_name_H-M 'P 42/n'
_symmetry_Int_Tables_number 86
loop_
_symmetry_equiv_pos_as_xyz
'x,y,z'
'-x,-y,-z'
'-y,x+1/2,z+1/2'
'y,-x+1/2,-z+1/2'
'-x+1/2,-y+1/2,z'
'x+1/2,y+1/2,-z'
'y+1/2,-x,z+1/2'
'-y+1/2,x,-z+1/2'
loop_
_atom_site_label
_atom_site_fract_x
_atom_site_fract_y
_atom_site_fract_z
_atom_site_occupancy
Dy1 0.250 0.250 0.250 1
Er1 0.100 0.840 0.649 1
Hg1 0.045 0.146 0.853 1
```

=====

Computed, not measured: a relaxed structure of BaLaCd2Pb2 at the PBE level of DFT.

Structure (CIF):
```
data_BaLaCd2Pb2
_chemical_formula_sum 'Ba1 La1 Cd2 Pb2'
_cell_length_a 5.1587
_cell_length_b 5.1587
_cell_length_c 8.5443
_cell_angle_alpha 90.00
_cell_angle_beta 90.00
_cell_angle_gamma 120.00
_symmetry_space_group_name_H-M 'P -3 m 1'
_symmetry_Int_Tables_number 164
_symmetry_space_group_name_Hall '-P 3 2"'
........
Depression and anxiety are the most common diagnoses reported worldwide. In the United States, one in five adults has sought treatment for depression and anxiety every year. Maine has the highest percentage of children who are receiving treatment for anxiety and the third-highest for depression in the nation. Both of these diagnoses are common, however often not fully understood. Depression and anxiety are often viewed as purely emotions and emotional responses, but they are so much more.
• These materials data were left in the page by mistake:
No. 1
Ta3MnSe | GGA-PBE | relaxed

a b c (Å): 4.626 4.626 4.626
angles (deg): 90.00 90.00 90.00
Sites, in units of the cell vectors:
Ta (0.000, 0.000, 0.500)
Ta (0.000, 0.500, 0.000)
Ta (0.500, 0.000, 0.000)
Mn (0.000, 0.000, 0.000)
Se (0.500, 0.500, 0.500)

total DFT energy (no corrections) = -8.82 eV/atom
formation energy (no corrections) = 0.820 eV/atom
energy above the lowest structure with this stoichiometry = 0 meV per atom
Fermi-level density of states = 1.245 states/eV per atom

No. 2
TbPu2Cd6 | GGA-PBE | relaxed

a b c (Å): 6.043 6.043 6.043
angles (deg): 93.96 93.96 93.96
Sites, in units of the cell vectors:
Tb (0.000, 0.000, 0.000)
Pu (0.342, 0.342, 0.342)
Pu (0.658, 0.658, 0.658)
Cd (0.165, 0.500, 0.835)
Cd (0.165, 0.835, 0.500)
Cd (0.500, 0.165, 0.835)
Cd (0.500, 0.835, 0.165)
Cd (0.835, 0.165, 0.500)
Cd (0.835, 0.500, 0.165)

total DFT energy (no corrections) = -4.47 eV/atom
DFT formation energy = -0.1616 eV/atom
Fermi-level density of states = 2.295 states/eV per atom

No. 3
ReIrBr | GGA-PBE | relaxed

a b c (Å): 4.348 4.348 2.944
angles (deg): 90.00 90.00 120.00
Sites, in units of the cell vectors:
Re (0.000, 0.000, 0.000)
Ir (0.333, 0.667, 0.527)
Br (0.667, 0.333, 0.125)

total DFT energy (no corrections) = -6.47 eV/atom
formation energy (no corrections) = 1.187 eV/atom
energy above the lowest structure with this stoichiometry = 514 meV per atom
Fermi-level density of states = 1.068 states/eV per atom


# TbCeGa2Au5, optimized geometry, DFT PBE
# Energy of formation from the pure elements, eV/atom: -0.478
data_TbCeGa2Au5
_chemical_formula_sum 'Tb1 Ce1 Ga2 Au5'
_cell_length_a 4.494
_cell_length_b 4.494
_cell_length_c 9.364
_cell_angle_alpha 90.00
_cell_angle_beta 90.00
_cell_angle_gamma 90.00
_space_group_name_H-M_alt 'P 4/m m m'
_space_group_IT_number 123
_space_group_name_Hall '-P 4 2'
loop_
_atom_site_label
_atom_site_fract_x
_atom_site_fract_y
_atom_site_fract_z
_atom_site_occupancy
Tb1 0.000 0.000 0.000 1
Ce1 0.000 0.000 0.500 1
Ga1 0.500 0.500 0.130 1
Au1 0.000 0.500 0.267 1
Au2 0.500 0.500 0.500 1



# AcSb3S6, optimized geometry, DFT PBE
# ΔE_f (raw), meV/atom: -738
# Relative energy among the computed polymorphs, meV/atom: 0.0
data_AcSb3S6
_chemical_formula_sum 'Ac2 Sb6 S12'
_cell_length_a 11.922
_cell_length_b 3.999
_cell_length_c 12.061
_cell_angle_alpha 90.00
_cell_angle_beta 105.38
_cell_angle_gamma 90.00
_space_group_name_H-M_alt 'P 1 21/m 1'
_space_group_IT_number 11
loop_
_space_group_symop_operation_xyz
'x,y,z'
'-x,-y,-z'
'-x,y+1/2,-z'
'x,-y+1/2,z'
loop_
_atom_site_label
_atom_site_fract_x
_atom_site_fract_y
_atom_site_fract_z
_atom_site_occupancy
Ac1 0.190 0.250 0.033 1
Sb1 0.042 0.750 0.296 1
Sb2 0.338 0.250 0.433 1
Sb3 0.400 0.750 0.847 1
S1 0.031 0.750 0.882 1
S2 0.127 0.250 0.447 1
S3 0.225 0.750 0.235 1
S4 0.257 0.250 0.798 1
S5 0.391 0.750 0.053 1
S6 0.394 0.750 0.574 1



# MnCu2S4, optimized geometry, DFT PBE
# ΔE_f (raw), meV/atom: 176
# Relative energy among the computed polymorphs, meV/atom: 487.5
Depression and anxiety can have many of the same symptoms and can often occur together.

Ways in which depression and anxiety can be expressed can be sadness, nervousness, anger, irritability, or even a numbing and disconnection from emotions. The entire brain and body are impacted by depression and anxiety. This can include difficulties with memory or concentration, trouble with expressing and processing communication, and difficulties with making decisions. People may experience overwhelming emotions and struggle to control them or become more impulsive in their actions. Bodies may begin to feel tired and lethargic, unexplained aches and pains in muscles and joints, feeling constantly on edge, and although exhausted, unable to settle down. Appetites may be lost or drastically increase with seeking “comfort foods” in addition to stomach aches, nausea, diarrhea, and headaches. Important to note that children often express their physical symptoms far more than their emotional ones.
The World Health Organization has reported that depression is the largest cause of economic loss worldwide, impacting people’s ability to engage in work, day to day tasks, and disrupting relationships. An individual with an anxiety or mood disorder is three times more likely to develop a substance use disorder if left untreated.

There are simple steps that can be taken to promote positive chemical responses in the body. The majority of serotonin, a natural chemical the body produces to combat depression, is made in the gut with the help of leafy green food. Chronic sleep deprivation (less than 5-6 hours) decrease’s the body’s ability to produce serotonin, as well as the necessary receptors in the brain to utilize dopamine, another chemical the body naturally produces to combat depression. Exercise and sunshine can help to boost these chemicals to increase mood, as well as drinking plenty of water. Surrounding yourself with positive people, as Sigmund Freud once said: “Before you diagnose yourself with depression make sure you are not surrounded by jerks (he used a different word that would be censored…)”.
If symptoms continue and impact the ability to engage in work, tasks necessary in day to day life such as housework, and impact important relationships, seek help. The average time an individual waits to seek treatment is 10 years. That is a long time to suffer in silence.

NAMI Maine is here for support.
Please call 1-800-464-5767 and press 1 for the helpline.
If there is a crisis or thoughts of suicide, please call the statewide crisis number at 1-888-568-1112.
• What comes next are records of crystals, not part of the article:
____________
No. 1
A relaxed AgPd3Ru crystal. Source: the Alexandria database, functional GGA-PBE.

Results
E_form   1.654 eV per atom
N(E_F)   1.8531 states/eV/atom
Magnetization   3.4 μB per cell

a = 4.8410 Å, b = 4.8410 Å, c = 4.8410 Å
α = 90.00°, β = 90.00°, γ = 90.00°
Sites, in units of the cell vectors:
Ag (0.0000, 0.0000, 0.0000)
Pd (0.0000, 0.0000, 0.5000)
Pd (0.0000, 0.5000, 0.0000)
Pd (0.5000, 0.0000, 0.0000)
Ru (0.5000, 0.5000, 0.5000)

---

No. 2
A relaxed AgPdRu2 crystal. Source: the Alexandria database, functional GGA-PBE.

Results
E_form   1.005 eV per atom
N(E_F)   1.3039 states/eV/atom
Magnetization   4.5 μB per cell

a = 5.7480 Å, b = 5.7480 Å, c = 5.7480 Å
α = 101.70°, β = 101.70°, γ = 126.46°
Sites, in units of the cell vectors:
Ag (0.0000, 0.0000, 0.0000)
Ag (0.7500, 0.2500, 0.5000)
Pd (0.2500, 0.7500, 0.5000)
Pd (0.5000, 0.5000, 0.0000)
Ru (0.1466, 0.6250, 0.0216)
Ru (0.3750, 0.3966, 0.5216)
Ru (0.6034, 0.1250, 0.9784)
Ru (0.8750, 0.8534, 0.4784)

---

No. 3
A relaxed AgPd3Ru crystal. Source: the Alexandria database, functional GGA-PBE.

Results
E_form   1.148 eV per atom
N(E_F)   1.2578 states/eV/atom
Magnetization   1.4 μB per cell

a = 4.7872 Å, b = 4.7872 Å, c = 4.7872 Å
α = 90.00°, β = 90.00°, γ = 90.00°
Sites, in units of the cell vectors:
Ag (0.0000, 0.0000, 0.0000)
Pd (0.0000, 0.5000, 0.5000)
Pd (0.5000, 0.0000, 0.5000)
Pd (0.5000, 0.5000, 0.0000)
____________
• The records of crystals stop here:
A note from MCFA staff: Fishermen Wellness is a new on-going series by NAMI Clinical Staff. Each week a new topic will be featured pertaining to mental health and wellness for fishermen. We hope that this information is helpful to fishermen during COVID-19 and also under regular circumstances. Thank you to the clinical staff at NAMI for their support and insight during this time. Together, we persevere.